More myths: Introducing payments, cutting back on managers or bringing in tax breaks for private care will fix the NHS

In the final part of his series looking at common critiques of the NHS and why they're mistaken, Nigel Edwards examines the subject of introducing payments for treatment, tackles the claim that managers are to blame for the NHS’s problems, and discusses the impact of bringing in tax breaks for private care.

Blog post

Published: 16/01/2023

My previous articles have looked at popular misconceptions about the NHS’s many and real problems. Here I explore three proposed solutions that are beset by similarly magical thinking. Some of them have an element of validity, but this is often lost in the headline and in their proponents’ enthusiasm to reach for simplistic solutions to the complexity that characterises modern health care.

Proposed solution no1: Introduce payments for treatment

Whenever the affordability and sustainability of spending on health care is discussed, it is usually not long before someone takes to a national newspaper to propose the introduction of user charges as a remedy for these challenges.

Two reasons for imposing user charges are generally proposed: firstly as a way of raising revenue, and secondly as a method of reducing demands made on the system through deterring “unnecessary use” or misuse. This might include charges for missed appointments.

There are limits on the effectiveness of charges as a method of financing the health system. Any charge that is large enough to raise significant amounts of money will quickly cause problems for people unable to afford it, either through poverty or having chronic conditions (hence requiring more care). For this reason, health systems tend to cap the total exposure to this risk at a relatively low level. This is because, in a number of areas of care, a small number of patients account for a high proportion of the demand. Such caps significantly reduce the revenue-generating potential of charges, as is seen with the pre-payment card used for prescription charges.

All these systems require a substantial administrative machinery to collect the payments, and for some areas there may need to be dispute resolution procedures (for example, for payments for days spent in hospital, someone could argue they are not paying to be in hospital because their discharge from hospital wasn’t organised properly). This further eats into the money raised.

The evidence for the impact of user charges on demand is also less than compelling. A review of studies of the German health system found little impact on demand. A wider review found that it did reduce GP and outpatient visits (which are higher in Germany than the UK), but had no impact on hospitalisation. The evidence for the impact on medicines consumption is much stronger, but this is not a policy objective in the UK.

The OECD report that user charges in Sweden reduced utilisation, but it disproportionately affected the poor. Similar problems were experienced in Canada, with care being delayed with the potential for higher future costs. This is in line with the well-known RAND Health Insurance Experiment, which found that charges did reduce utilisation, but importantly it affected both appropriate and inappropriate care. Unsurprisingly, it had the greatest impact on low-income people. The effect of this is potentially to delay treatment and increase the future costs of care as a result. 

Opinion is more mixed about the merits of charging for missed appointments – something proposed by Rishi Sunak and swiftly dropped when he became Prime Minister. But the overall impact of this sort of policy is likely to be very small, both in terms of revenue and efficiency improvement.

*Nigel also debated this subject in The Times’s “The Big Question” feature on 14 January. Click here to read that article.

Proposed solution no2: Reduce managers, cut bureaucracy and put the money into the "front line"

A favourite argument of those wishing to agitate for radical health service change is to argue that it is overmanaged, full of bureaucrats, and that not enough money is directed to the hard-working doctors and nurses at the front line.

But a quick look at the evidence does not support the view that there is a particular problem with NHS management. Managers and senior managers have been among the slowest growing groups of staff in NHS trusts over the past decade. Their numbers fell at the start of the period of austerity from 2010, and some were shifted out into commissioning bodies in 2013. But this period saw the start of a decline in NHS performance, albeit for much wider reasons.


Criticising NHS management has the advantage of picking on a group that has few friends. And yet, many of the managers in the NHS are clinicians, many of them do management as part of their clinical role, and there is good evidence that these roles are key to staff retention and for delivering another policy priority – efficiency. As Stephen Black puts it in an excellent blog: “The big NHS problems are problems of coordination and operational effectiveness. The NHS has a big issue with knowing where to spend money to make the whole system better and struggles to consistently improve or to spread best practices quickly.” A similar argument was recently made by Emma Duncan in a column for the Times.

The last 20 years have seen a culture of checking, assurance, performance management and other manifestations of a controlling and low-trust approach to management, alongside a system with a very large number of objectives and ‘priorities’ and a growth in central regulation and oversight. This was highlighted in the Francis Report and in the reviews of NHS management by Lord Rose and Sir Ron Kerr.

A culture of checking and upward report is a major issue, and means that management time could be more usefully used to improve the system. The Messenger Review said that this had a negative impact on the front line. This in turn will affect staff retention.  

Administrative jobs are often lumped in with management and therefore become a target as well. However, good administration is important for both patient experience and the efficiency of the organisation, and frees up clinical staff from tasks that they don’t like so they can do clinical work instead. There is more scope to use digital tools to streamline routine administration. The performance culture may also mean that administrative resources are being wasted on ‘feeding the beast’ rather than more useful support to the rest of the organisation.

== What comes next are quantum chemistry results, not part of the text ==
'''
# 1
69
Properties=species:S:1:pos:R:3:nbo_charge:R:1 method="wB97M-V/def2-TZVPD" charge=-1 largest_force_ev_per_a=1.1 gap_ev=4.53 e_homo_ev=-3.60 lumo_ev=0.9
C 3.37 2.35 3.20 -0.14
C 2.41 1.63 3.03 -0.35
B 1.48 0.47 2.70 1.06
O 1.65 -0.26 1.52 -0.88
B 1.64 -1.63 1.84 1.17
C 2.87 -2.54 1.52 -0.77
C 3.17 -2.74 0.02 -0.38
C 3.47 -1.45 -0.77 -0.55
S 2.20 -1.34 -2.05 0.33
C 2.37 0.24 -2.78 -0.13
S 1.04 1.01 -3.28 0.07
N 3.73 0.66 -3.03 -0.59
C 3.97 0.92 -4.43 0.13
C 4.56 -0.11 -5.14 -0.22
C 4.82 0.02 -6.50 -0.20
C 4.48 1.18 -7.16 -0.22
C 3.90 2.22 -6.45 -0.22
C 3.64 2.09 -5.10 -0.17
C 4.20 1.69 -2.13 0.23
C 5.33 1.40 -1.37 -0.23
C 5.85 2.33 -0.50 -0.21
C 5.26 3.57 -0.37 -0.21
C 4.13 3.87 -1.11 -0.19
C 3.61 2.94 -1.98 -0.26
O 0.52 -2.07 2.51 -0.88
B -0.24 -0.98 2.96 1.24
C -1.78 -0.85 2.76 -0.84
C -2.57 -1.14 4.06 -0.25
C -3.26 -2.51 3.98 -0.65
I -4.14 0.36 4.24 0.06
O 0.51 0.04 3.56 -0.87
H 4.20 3.00 3.25 0.23
H 2.68 -3.53 1.94 0.24
H 3.75 -2.15 2.03 0.23
H 2.34 -3.29 -0.43 0.21
H 4.04 -3.39 -0.06 0.21
H 3.49 -0.56 -0.15 0.24
H 4.44 -1.54 -1.24 0.22
H 4.82 -1.02 -4.63 0.22
H 5.27 -0.80 -7.03 0.21
H 4.66 1.27 -8.22 0.21
H 3.64 3.12 -6.98 0.21
H 3.18 2.91 -4.58 0.22
H 5.79 0.43 -1.48 0.22
H 6.72 2.08 0.09 0.21
H 5.65 4.32 0.31 0.21
H 3.66 4.83 -1.01 0.21
H 2.71 3.18 -2.53 0.23
H -2.10 -1.50 1.95 0.25
H -1.96 0.17 2.44 0.26
H -1.96 -1.06 4.94 0.21
H -4.28 -2.41 3.64 0.25
H -3.31 -2.96 4.97 0.21
H -2.75 -3.16 3.28 0.21
C -8.25 0.89 2.69 -0.65
C -7.96 -0.56 3.09 -0.07
O -8.83 -1.53 2.55 -0.59
C -8.52 -2.03 1.20 0.33
O -7.28 -2.35 0.99 -0.87
C -9.04 -1.03 0.12 0.91
F -10.23 -0.43 0.44 -0.36
F -9.28 -1.70 -1.04 -0.35
F -8.20 -0.03 -0.21 -0.35
H -9.33 1.08 2.69 0.20
H -7.77 1.57 3.40 0.18
H -7.87 1.12 1.70 0.22
H -8.10 -0.63 4.17 0.15
H -6.92 -0.82 2.88 0.18
H -9.28 -2.85 1.13 0.08

# 2
10
Properties=species:S:1:pos:R:3:nbo_charge:R:1 method="wB97M-V/def2-TZVPD" largest_force_ev_per_a=5.0 gap_ev="5.56 / 7.73" e_homo_ev="-4.67 / -10.61" lumo_ev="0.9 / -2.9" multiplicity=3
C 0.66 0.77 0.18 -0.30
N -0.89 -0.60 -1.29 -1.06
O -0.26 -1.28 1.32 -0.76
O 1.08 0.75 1.47 -0.69
S 0.24 -0.98 -0.06 1.15
H -0.23 1.46 0.04 0.18
H 1.53 1.21 -0.48 0.22
H -1.88 -0.37 -1.08 0.40
H -0.81 -1.16 -2.08 0.37
H 0.57 0.20 1.98 0.49

# 3
43
Properties=species:S:1:pos:R:3:mulliken_charge:R:1 method="wB97M-V/def2-TZVPD" charge=+2 largest_force_ev_per_a=2.5 gap_ev="3.76 / 5.03" e_homo_ev="-14.83 / -15.28" lumo_ev="-11.1 / -10.2" multiplicity=6
Sm -1.16 0.38 1.06 0.92
P 0.87 -1.06 2.29 0.15
C 1.83 -1.55 0.93 -0.65
C 1.30 -1.68 -0.39 1.01
N 0.12 -1.02 -0.72 0.05
C -0.31 -1.13 -1.99 0.65
C 0.30 -1.95 -2.93 -0.69
C 1.48 -2.62 -2.61 -0.58
C 1.99 -2.48 -1.34 -0.82
C -1.57 -0.41 -2.41 -1.07
P -1.97 1.15 -1.45 0.52
H 2.92 -2.98 -1.05 0.45
H -0.13 -2.04 -3.93 0.52
H 1.98 -3.26 -3.34 0.48
H -1.54 -0.15 -3.48 0.55
H -2.44 -1.07 -2.29 0.41
H 3.71 0.31 0.16 0.29
H 2.82 -2.00 1.06 0.51
H 2.38 2.96 0.08 0.31
O 3.93 1.26 0.01 -0.57
H 4.90 1.24 0.01 0.32
H -0.39 2.09 1.45 0.00
O 1.65 3.56 0.35 -0.59
'''

Taking a critical look at how NHS organisations are managed and identifying scope for reducing administrative burden on staff is absolutely right. But a simplistic “managers bad, front-line staff good” mantra often does more harm than good.

Proposed solution no3: Tax breaks for private care will stimulate competition and patient choice

One idea for stimulating competition and patient choice, and taking some of the burden off the NHS, is the idea of tax breaks for private care. But the main capacity constraint in NHS planned care is staff, and for doctors these are generally the same staff who also work in the private sector. Using the private sector can help with bottlenecks of beds or theatres, but for staff the impact could be to make this worse.

As I have argued before, if the policy is a success and there is a significant rise in activity in the private sector, this could be down to consultants reducing their NHS commitments for better paid private sector work. It is unlikely that many consultants are income maximisers, as they otherwise would just work exclusively in the private sector – it’s likely instead that they ‘satisfice’, to have an interesting mix of work. Other goals, and the time off to pursue them, are traded against pay. Once a certain income level has been reached, the individual will not be incentivised to carry on working.

Any productivity gain from a shift to the private sector (which is not guaranteed) could as a result be offset by reductions in the amount of work done due to this effect. It could increase demand for private treatment and therefore price, given the relatively fixed supply of consultant staff. This could mean a bidding war for consultants and nurses in areas where there is high demand.

Offering tax breaks to new or existing policy holders would have little impact on the waiting list. People on the waiting list may find it difficult to get insurance for an existing condition. Tax breaks would be subsidising people who were already willing to pay or intending to self-pay, or not even on the waiting list at all. There would also likely be a significant administrative cost to address this problem – all of which represents a potentially substantial deadweight cost to the public purse, which would further significantly reduce the value of the policy.

Offering to subsidise those who can afford care via tax breaks is obviously highly inequitable – patients who are able to pay upfront are not necessarily the ones with the greatest health needs.

From a government perspective, a tax break is equivalent to increasing spending, but the question is whether this is the best way of spending extra money. As a policy, it is both inequitable and of very questionable effectiveness.

Suggested citation

Edwards N (2023) “More myths: Introducing payments, cutting back on managers or bringing in tax breaks for private care will fix the NHS”. Nuffield Trust blog
